Since this post is about potty training, I am forced to use the words poop and pee to differentiate between the kinds of body waste. So consider yourself warned before you continue reading this post….
My youngest turned two last month. She has been completely diaper-free (nights, naps and travel included) for over six months. She was completely potty trained by the time she was a year old. It often surprises people when I say this — or when they watched my one-and-a-half-year-old drop her pants and run towards the potty when she had to go.
Everyone is curious to learn about how I trained my kids, so here it is — my approach to potty training, some simple beliefs, and how I think you can potty train your young child too.
My approach to potty training
Just like with anything else I do in my life, I set out with a goal and I work towards it. I practice consistency and persistence. I forgive myself when I fail. And I will give up if I think something is taking over my life in ways I never imagined.
That was my approach with potty training both of my children. I started training them between nine and twelve weeks of age. I took breaks several times, but I never gave up because I worked on it in stages. But it worked — both my kids went to the potty first thing every morning, and I have rarely changed a poopy diaper beyond 12 to 15 weeks of age.
My beliefs, and some facts to consider
1. If infants can signal hunger, they can understand and signal wanting to go potty.
Kids cry when they are hungry. We watch for the signals of hunger and train them to ask for food as they grow up. I strongly believe it is the same with potty training. When the child is too young to go to the bathroom by himself or herself, we have to watch for the signals and take them to the bathroom. And in this process, patience is an important virtue.
2. Bodies have a rhythm.
We eat at regular intervals and we go to the bathroom at regular intervals. Bodies have and like rhythms. It’s important to watch and maintain these rhythms for little kids as well.
**Records of molecules from another source follow:**
Molecular formula: C54H116N6O7
Method: DFT, the ωB97M-V functional and the def2-TZVPD basis

The value obtained for the LUMO energy is 0.496 eV. The calculation puts the relative energy (zero: lowest compared OMol25 entry of this formula, charge and spin) at 0.0000 eV. The highest occupied orbital energy is -7.880 eV. For the gap between HOMO and LUMO, the calculation gives 8.376 eV. As for the electronic energy: -2982.031944 Eh. Its structure (SMILES) is CC1(C)CCCC(C)(C)N1O.CC1(C)CCCC(C)(C)N1O.CC1(C)CCCC(C)(C)N1O.CC1(C)CCCC(C)(C)N1O.CC1(C)CCCC(C)(C)N1O.CC1(C)CCCC(C)(C)N1O.O.

CARTESIAN COORDINATES (ANGSTROEM)
O: -0.3183 0.4634 -0.0287
H: -0.1219 0.3709 0.9136
H: -0.9897 -0.2074 -0.2005
C: 2.4895 -4.1448 2.1697
C: 3.9634 -3.7462 2.3097
C: 4.7119 -4.3346 1.1058
C: 4.5253 -3.5583 -0.1967
C: 4.9094 -2.0934 0.0067
C: 4.2002 -1.4066 1.1760
N: 4.2231 -2.3017 2.3625
O: 3.6101 -1.6926 3.4745
C: 5.1299 -0.2386 1.5621
C: 2.8071 -0.8969 0.7479
C: 4.4887 -4.4295 3.5705
H: 2.4081 -5.2309 2.1892
H: 2.0458 -3.7759 1.2407
H: 1.9197 -3.6917 2.9840
H: 5.7713 -4.5821 1.2091
H: 4.2646 -5.3116 0.8833
H: 3.5032 -3.7254 -0.5380
H: 5.2016 -3.9394 -0.9650
H: 4.6281 -1.6540 -0.9564
H: 5.9954 -2.0217 0.0731
H: 5.3225 0.4561 0.7450
H: 4.7011 0.3400 2.3857
H: 6.0580 -0.6643 1.9436
H: 2.3955 -0.3785 1.6154
H: 2.9262 -0.2863 -0.1405
H: 2.1209 -1.7262 0.5655
H: 3.9612 -4.3619 4.5274
H: 5.4210 -3.9448 3.8947
H: 4.7415 -5.4833 3.4456
H: 4.3285 -1.2506 3.9416
C: -0.1735 -0.7462 -3.6161
C: 0.9491 -1.7924 -3.5340
C: 0.4399 -2.8372 -2.5025
C: 1.1898 -4.1576 -2.5519
C: 1.3207 -4.6903 -3.9855
C: 1.8343 -3.6636 -5.0077
N: 1.0663 -2.4358 -4.8434
O: 1.4457 -1.4553 -5.7992
C: 3.3463 -3.4658 -4.8566
C: 1.5741 -4.2121 -6.4143
C: 2.2013 -1.1516 -2.9125
H: 0.1348 0.1040 -4.2281
H: -0.4657 -0.4350 -2.6125
H: -1.0752 -1.1257 -4.1034
H: 0.5175 -2.3430 -1.5274
H: -0.6496 -2.9326 -2.5717
H: 0.6653 -4.9107 -1.9559
H: 2.1705 -4.1097 -2.0768
H: 0.3200 -4.9928 -4.3086
H: 1.9486 -5.5813 -3.9837
H: 3.6219 -2.5363 -5.3622
H: 3.7323 -3.4268 -3.8372
H: 3.9355 -4.2397 -5.3557
H: 1.8897 -5.2440 -6.5723
H: 0.5127 -4.2098 -6.6828
H: 2.0599 -3.5909 -7.1694
H: 1.9816 -0.5915 -2.0066
H: 2.6305 -0.4849 -3.6679
H: 3.0034 -1.8453 -2.6555
H: 0.7183 -1.4790 -6.4301
C: -3.0235 1.2675 -3.7711
C: -2.7256 2.7029 -3.2940
C: -1.4279 2.7261 -2.4876
C: -0.2067 2.7900 -3.4087
C: -0.3327 4.0749 -4.2182
C: -1.5358 4.1080 -5.1548
N: -2.7368 3.6642 -4.4415
O: -3.9155 3.6469 -5.1859
C: -1.6490 5.5709 -5.5843
C: -1.3649 3.1666 -6.3725
C: -3.8792 3.1563 -2.3915
H: -3.2099 0.5852 -2.9396
H: -2.0936 0.8720 -4.1919
H: -3.8401 1.2740 -4.4884
H: -1.4330 3.5962 -1.8270
H: -1.3084 1.8312 -1.8716
H: -0.1602 1.9622 -4.1264
H: 0.7414 2.6699 -2.8802
H: 0.5568 4.1715 -4.8459
H: -0.3826 4.9110 -3.5173
H: -0.7254 6.0260 -5.9297
H: -2.4549 5.6861 -6.3167
H: -2.0542 6.1308 -4.7367
H: -1.2955 2.1325 -6.0308
H: -2.2168 3.2826 -7.0422
H: -0.4657 3.3510 -6.9673
H: -3.8556 4.2152 -2.1284
H: -3.6964 2.6319 -1.4510
H: -4.8548 2.9620 -2.8310
If you help cultivate these rhythms when they are little, they grow up into adults with healthier digestive system and habits.
## These records of molecules were left in the piece by mistake
********
{
  "formula": "C41H58IN9O3S2",
  "method": "ωB97M-V/def2-TZVPD",
  "elements": ["I", "S", "S", "O", "O", "O", "N", "N", "N", "N", "N", "N", "N", "N", "N", "C", "C", "C", "C", "C", "C", "C", "C", "C", "C", "C", "C", "C", "C", "C", "C", "C", "C", "C", "C", "C", "C", "C", "C", "C", "C", "C", "C", "C", "C", "C", "C", "C", "C", "C", "C", "C", "C", "C", "C", "C", "H", "H", "H", "H", "H", "H", "H", "H", "H", "H", "H", "H", "H", "H", "H", "H", "H", "H", "H", "H", "H", "H", "H", "H", "H", "H", "H", "H", "H", "H", "H", "H", "H", "H", "H", "H", "H", "H", "H", "H", "H", "H", "H", "H", "H", "H", "H", "H", "H", "H", "H", "H", "H", "H", "H", "H", "H", "H"],
********
3. Everything does not work for everybody.
It is important to take baby steps and improvise. As with everything, find what works for you and your family. Raising kids in not an easy job. If you start early, you will succeed, so long as you give yourself time to fail and learn. So start sooner than later and find what works for you.
4. Set the right expectations.
In my case, my kids rarely soiled their diapers beyond four months of age. They were both walking by the time they were ten months old and started to make trips to the bathroom by themselves. By 15 to 18 months, they were both completely potty trained.
But, as in every situation, there were exceptions and accidents. If you want all these things to happen, you should be okay with rushing your child to the potty when you see that little pressure cringe on his or her face, even if you are at a friend’s place. We still take the kids to the bathroom to empty off their bladder at 11 p.m. every night.
If your life or personality does not allow for these things, you have to give yourself more months to potty train your little ones.

How to potty train your infant
1. Understand his or her rhythms and make a start.
The moment you see the first sign of rhythm, it is time to start potty training your child. At around six weeks of age, both my kids would soil their diapers twice a day — that was when I started. I sat on the western-style potty with my child right in front of me and also on the potty. I’d sing some songs, and before I knew it, they would poop.
During the day, every so often I would take them to the sink and open the tap and let the water run. A touch of cold water often helps them pee.
2. Reinforce positively.
The moment the child pooped or peed, I would let out a cheer in excitement. Even at a few months old, when a baby has very little control over the bladder, he or she is actively creating associations between their actions and happy outcomes.
Positive reinforcement and creating a no-stress situation have been key in training my kids. I never, ever force my kids to go or raise my voice when I want my children to pee or poop. And I always make a big deal when they do go – even with my three year old today.
3. Notice the signs.
Poop signs (not urination) are hard to miss in infants. They are still learning to control their muscles and their faces crunch up. Make a dash to the potty as soon as you notice this.
Don’t worry if you miss a few, though. If you’ve established a rhythm of morning and before-bed potty, there really should be very few of these off-schedule potty needs.
Every time you introduce a new food, however, their schedule might change a bit. Be on high alert and respond to the “I think I want to potty” expressions until they are back on schedule.
4. Bare bottoms work.
At around six months, I started actively using cloth diapers at home. Around then, kids start to pee less frequently and more regularly. Also, try to leave your child diaper-free or just with underwear for a few hours every day. Kids need to sense the pee, so let them have a few accidents.
The feeling of wetness (that the kids really dislike) is an important driver for quicker pee training.

5. Kiddie potties are a waste (in my opinion).
You might have had resounding success with a kiddie potty, but if you want to train your infant (not toddler) super early, they are useless. We never had a kiddie potty, just a potty ring that goes around our normal toilet. I would hold my child on the adult potty, either by seating them right in front of me, or just staying close while they sat.
Use a kiddie potty, and there is one extra job of transitioning them to the adult potty.
6. Siblings? Train in pairs!
Every time my older daughter would go to use the potty, we would let the younger one go right after her. If you have two kids in diapers, train them together.
In my opinion, it is never too early to start training your child to use the potty. I always say that my second daughter trained herself, because I put so little effort into training her. We even stopped night pull-ups because she refused to wear them.
7. Reinforce positively.
I listed this again because positive reinforcement is THAT important. We have a special song and dance we did when the girls would use the potty. Even to this day, the kids will sometimes have me do a song and dance.
Jokes aside, I explicitly thank my three-and-a-half-year-old every time she pees. That way, she understands I appreciate the effort she makes, especially when I need her to try and go right before we rush off to the airport or on a long drive.
8. Talk to them.
The wonderful thing about potty training is that it is a long process. Like starting a blog or a business, it is something you just have to deal with every day. So talk about it with your kids — your goals and your progress.
I always told my kids when we hadn’t touched the pile of pull up diapers in weeks. It made them so proud.
9. Control the fluids.
Be sure to control the fluids that go in your kids’ bodies for two hours before naps and bedtime. Get them on the potty before it’s too close to their nap time (cranky kids do not cooperate).

10. Take pride, and let them take pride.
Take pride in your efforts. Please do. Even if your child is not completely trained, you are well on your way. If you take pride, the kids take pride.
Talk about their accomplishments with aunts and grandmas. Potty training is hard and long, and you have to create opportunities to celebrate. Potty train under stress and you will fail.
11. Experiment for naps and nights.
My older daughter was a milk baby. She absolutely had to have her milk before she went to bed. That made getting off the night pull-up rather hard. My younger one was extremely easy; I could control her fluids since she was very little.
At one-and-a-half-years, we started putting her on the potty at 11 p.m. every night. She would pee in the potty while still asleep and would have a complete night with no accidents after that. We still take both the girls to pee at 11 p.m. every night.
12. Decide if it is for you.
If you are the kind of person that tends to get stressed with accidents and regression, you might want to wait until your child is older and can talk to start potty training. My older daughter did not talk until she was two years old, and even broke her arm at 20 months. She regressed on her night potty training for a month and I gave in.
Older kids are harder to train, but if your lifestyle and personality does not allow you to potty train your child, do it later. Do it when YOU are ready.
I have never lost my cool when my kids have had an accident. I have faked a little anger sometimes, but losing my cool would never work.
Follow all of these steps consistently and I am sure things will work out with training your infant. Enjoy the process, and don’t be afraid to take a break if you really need it.
I would love to hear what worked for you if you trained your infant. What would YOU add to the list and approach?